An Exploding Online Book Opportunity

The internet has created an entirely new kind of shopper. More readers are buying books online than ever before. And what they want, is the latest book, in the fastest time, at the lowest cost.

To help publishers and readers ride the digital opportunity, we’ve developed a tech platform that helps publishers and readers tap into this Global and India opportunity even as it unfolds.

Our mission is to get more books.. to more readers… through more channels… anywhere in the world.

A Growing Book Market

India is one of the world’s fastest growing book markets.
Currently, India is the 6th largest book market in the world.
With the total number of internet users in India expected to grow rapidly, the number of people expected to buy books online is staggering.

Recognising the need and potential of the market, getting titles on
e-platforms so that they are visible to millions of potential readers, is the task at hand for all publishers.

The tech platform we have created, does just that. By digitizing and making titles available online, and printing them on demand to reach a reader anywhere, our solution is disrupting an age old publishing process. And enabling publishers take advantage of the massive opportunity the internet has thrown their way.

____________
Calculated X-ray diffraction stick pattern
Compound: Li6NbCo3P6O24
Radiation: Cu Kα (weighted mean of Kα1 and Kα2)
Structure: a cell relaxed with PBE+U
No peak broadening, texture or thermal motion is included.

Structural model:
```
data_Li6NbCo3P6O24
_chemical_formula_sum 'Li6 Nb1 Co3 P6 O24'
_symmetry_space_group_name_H-M 'P 1'
_symmetry_Int_Tables_number 1
_cell_length_a 8.709
_cell_length_b 8.749
_cell_length_c 8.762
_cell_angle_alpha 60.80
_cell_angle_beta 60.61
_cell_angle_gamma 61.16
loop_
_symmetry_equiv_pos_as_xyz
'x,y,z'
loop_
_atom_site_label
_atom_site_type_symbol
_atom_site_fract_x
_atom_site_fract_y
_atom_site_fract_z
Li1 Li 0.000 0.000 0.000
Li2 Li 0.091 0.847 0.525
Li3 Li 0.189 0.330 0.481
Li4 Li 0.389 0.707 0.180
Li5 Li 0.664 0.522 0.812
Li6 Li 0.827 0.186 0.659
Nb1 Nb 0.207 0.537 0.021
Co1 Co 0.006 0.337 0.818
Co2 Co 0.502 0.838 0.309
Co3 Co 0.710 0.047 0.521
P1 P 0.104 0.128 0.214
P2 P 0.310 0.936 0.702
P3 P 0.406 0.436 0.607
P4 P 0.604 0.225 0.127
P5 P 0.799 0.735 0.915
P6 P 0.895 0.647 0.421
O1 O 0.047 0.157 0.061
O2 O 0.091 0.589 0.265
O3 O 0.131 0.107 0.718
O4 O 0.173 0.294 0.152
O5 O 0.249 0.380 0.636
O6 O 0.258 0.783 0.902
O7 O 0.260 0.941 0.244
O8 O 0.326 0.878 0.553
O9 O 0.338 0.500 0.780
O10 O 0.417 0.607 0.430
O11 O 0.454 0.423 0.072
O12 O 0.485 0.956 0.675
O13 O 0.533 0.073 0.171
O14 O 0.589 0.280 0.610
O15 O 0.615 0.770 0.073
O16 O 0.634 0.208 0.291
O17 O 0.734 0.701 0.360
O18 O 0.773 0.231 0.945
O19 O 0.820 0.579 0.865
O20 O 0.828 0.908 0.746
O21 O 0.898 0.804 0.451
O22 O 0.900 0.464 0.588
O23 O 0.950 0.125 0.404
O24 O 0.967 0.662 0.987
```

Main lines, by intensity (2θ = 5–70°):
two_theta, Rel. int., index
23.66, 100, 2 0 1
20.29, 72, 1 2 1
20.02, 45, 0 1 -1
32.27, 43, 1 3 2
28.63, 39, 0 2 2
23.74, 35, 1 2 0
14.20, 34, 0 1 1
20.40, 34, 2 1 1
35.26, 31, 1 1 -2
32.40, 28, 3 1 2

----------

Record 1
For Na2LiDyCl6, a PBE-relaxed structure gives the computed XRD peak list in this record (CuKα).
Neutral-atom scattering factors, no anomalous dispersion.

Largest 10 diffraction maxima, in order of falling intensity, 2θ from 10° to 90°:
| 2theta | intensity |
| --- | --- |
| 14.94 | 100 |
| 17.26 | 94 |
| 34.94 | 80 |
| 28.83 | 71 |
| 50.24 | 52 |
| 39.22 | 44 |
| 24.51 | 42 |
| 38.19 | 37 |
| 45.90 | 25 |
| 52.72 | 24 |

Structure:
```
Na2LiDyCl6
1.0
0.0000 5.1363 5.1363
5.1363 0.0000 5.1363
5.1363 5.1363 0.0000
Na Li Dy Cl
2 1 1 6
direct
0.2500 0.2500 0.2500
0.7500 0.7500 0.7500
0.0000 0.0000 0.0000
0.5000 0.5000 0.5000
0.2456 0.2456 0.7544
0.2456 0.7544 0.2456
0.2456 0.7544 0.7544
0.7544 0.2456 0.2456
0.7544 0.2456 0.7544
0.7544 0.7544 0.2456
```

***

Record 2
For NaSbCl6, a PBE-relaxed structure gives the computed XRD peak list in this record (CuKα).
Neutral-atom scattering factors, no anomalous dispersion.

Largest 10 diffraction maxima, in order of falling intensity, 2θ from 10° to 90°:
| 2theta | intensity |
| --- | --- |
| 15.66 | 100 |
| 31.08 | 25 |
| 25.04 | 24 |
| 39.21 | 22 |
| 31.33 | 20 |
| 18.98 | 17 |
____________

Disrupting an Age Old
Publishing System

The publishing process is an old one and is often disorganised and unwieldy.
Publishers have deal with challenges like:

  • Inefficient and very high costs and wastage of warehousing and inventory.
  • The limited reach of the traditional distribution system.
  • Hard to sell inventory and obsolete titles resulting in wastages and losses.
  • The bane of returns and collections.

The Repro tech platform seeks to do away with these challenges with a disruptive tech solution.

The Repro Tech Solution

Publishers can now take full advantage of the online revolution with our tech platform.

The Repro solution ensures that publishers’ get their books to their readers through:

  • Online channels – by aggregating, digitising, listing titles on online stores, producing on demand and delivering anywhere.
  • Schools – by reaching K-12 students through online storefronts, elivering directly educational books to their doorstep.
  • Bookshops – by offering a unique solution that helps minimise bookstore inventory, while maximising sales.

Backed by Cutting Edge Infrastructure

To help publishers explore the potential of the online book opportunity, we have specially designed and customised
state-of-the-art infrastructure for publisher’s requirements.

  • Custom built Print-on-Demand facilities across India to service different regions.
  • Production facilities at a Special Economic Zone to
    drive cost efficiencies.
  • Production capabilities of one-to-million books.

The Print on Demand Facility has a full solution that ensures a book is produced and delivered as soon as it is ordered. It is equipped with state-of-the art infrastructure that completes the process from end to end.

  • Order Processing.
  • Printing on Special customized POD machines.
  • Binding, Finishing and kitting.
  • Delivery to last mile providers.

The Repro tech platform seeks to do away with these challenges with a disruptive tech solution.

Addressing Every Publisher

Whether a publisher is in the educational space or a part of the trade industry; whether they are based in India or elsewhere in the world; whether they have a single title or thousands… we have a solution that will work.

  • Our solution includes titles that are listed online and produced after the title is bought.
  • Our customised POD facility ensures the title is sent to the reader in the shortest possible time. For international publishers we offer the benefits of production from our SEZ facility.
  • To enhance our service offering to multinational as well as Indian publishers, we have tied up strategically with the Ingram Content Group. This brings with it a slew of benefits – to publishers and readers.

Ready to take off with ?

All the online book solutions you’ve been looking for are right here.